Brief >
Your job: restate only the last part of the entries further down, starting with the line that has "14.5°, 6.118".

Given >
=====
No. 1
Simulated X-ray diffraction stick pattern of Cu2S13 for Cu Ka, from a GGA-PBE-relaxed structure.
No peak broadening, texture or thermal motion is included.

The 10 most intense peaks (10 to 90 degrees two-theta), most intense first:
2θ = 12.5°, 7.080 Å, I 100
2θ = 18.5°, 4.795 Å, I 68
2θ = 29.0°, 3.078 Å, I 33
2θ = 28.5°, 3.130 Å, I 29
2θ = 11.1°, 7.978 Å, I 26
2θ = 15.9°, 5.561 Å, I 23
2θ = 16.2°, 5.467 Å, I 21
2θ = 31.2°, 2.867 Å, I 19
2θ = 30.7°, 2.908 Å, I 16
2θ = 14.5°, 6.118 Å, I 14

Structure:
Unit cell a=6.740 b=9.148 c=9.161 alpha=63.18 beta=69.69 gamma=68.48
Fractional positions:
Cu (0.146, 0.330, 0.372)
Cu (0.854, 0.670, 0.628)
S (0.000, 0.500, 0.500)
S (0.006, 0.690, 0.803)
S (0.150, 0.119, 0.133)
S (0.173, 0.052, 0.610)
S (0.298, 0.861, 0.545)
S (0.423, 0.882, 0.866)
S (0.482, 0.310, 0.197)
S (0.518, 0.690, 0.803)
S (0.577, 0.118, 0.134)
S (0.702, 0.139, 0.455)
S (0.827, 0.948, 0.390)
S (0.850, 0.881, 0.867)
S (0.994, 0.310, 0.197)

No. 2
Simulated X-ray diffraction stick pattern of Pr6C2N for Cu Ka, from a GGA-PBE-relaxed structure.
No peak broadening, texture or thermal motion is included.

The 10 most intense peaks (10 to 90 degrees two-theta), most intense first:
2θ = 29.1°, 3.069 Å, I 100
2θ = 33.5°, 2.677 Å, I 80
2θ = 26.8°, 3.325 Å, I 51
2θ = 29.6°, 3.019 Å, I 50
2θ = 32.7°, 2.737 Å, I 39
2θ = 13.3°, 6.649 Å, I 28
2θ = 49.3°, 1.850 Å, I 28
2θ = 45.7°, 1.985 Å, I 23
2θ = 58.0°, 1.590 Å, I 17
2θ = 58.4°, 1.579 Å, I 15

Structure:
Unit cell a=8.866 b=8.866 c=7.784 alpha=108.33 beta=108.33 gamma=24.13
Fractional positions:
Pr (0.009, 0.009, 0.231)
Pr (0.324, 0.324, 0.431)
Pr (0.346, 0.346, 0.904)
Pr (0.654, 0.654, 0.096)
Pr (0.676, 0.676, 0.569)
Pr (0.991, 0.991, 0.769)
C (0.165, 0.165, 0.330)
C (0.835, 0.835, 0.670)
N (0.500, 0.500, 0.000)

No. 3
Simulated X-ray diffraction stick pattern of HoSiSb for Cu Ka, from a GGA-PBE-relaxed structure.
No peak broadening, texture or thermal motion is included.

The 10 most intense peaks (10 to 90 degrees two-theta), most intense first:
2θ = 30.4°, 2.937 Å, I 100
2θ = 34.1°, 2.626 Å, I 37
2θ = 27.4°, 3.258 Å, I 24
2θ = 40.6°, 2.220 Å, I 22
2θ = 54.1°, 1.696 Å, I 21
2θ = 35.0°, 2.563 Å, I 20
2θ = 51.6°, 1.771 Å, I 18
2θ = 21.4°, 4.153 Å, I 15
2θ = 47.1°, 1.931 Å, I 14
2θ = 63.3°, 1.469 Å, I 14

Structure:
Unit cell a=6.783 b=6.783 c=11.744 alpha=90.00 beta=90.00 gamma=120.00
Fractional positions:
Ho (0.000, 0.500, 0.398)
Ho (0.000, 0.500, 0.936)
Ho (0.500, 0.000, 0.269)
Ho (0.500, 0.000, 0.731)
Ho (0.500, 0.500, 0.064)
Ho (0.500, 0.500, 0.602)
Si (0.190, 0.595, 0.167)
Si (0.405, 0.595, 0.833)
Si (0.405, 0.810, 0.500)
Si (0.595, 0.190, 0.500)
Si (0.595, 0.405, 0.833)
Si (0.810, 0.405, 0.167)
Sb (0.000, 0.000, 0.167)
Sb (0.000, 0.000, 0.500)
Sb (0.000, 0.000, 0.833)
Sb (0.000, 0.500, 0.667)
Sb (0.500, 0.000, 0.000)
Sb (0.500, 0.500, 0.333)

No. 4
Simulated X-ray diffraction stick pattern of ErTa2BC4 for Cu Ka, from a GGA-PBE-relaxed structure.
No peak broadening, texture or thermal motion is included.

The 10 most intense peaks (10 to 90 degrees two-theta), most intense first:
2θ = 34.2°, 2.619 Å, I 100
2θ = 30.6°, 2.925 Å, I 97
2θ = 33.6°, 2.666 Å, I 44
2θ = 42.0°, 2.150 Å, I 41
2θ = 39.2°, 2.300 Å, I 35
2θ = 53.1°, 1.724 Å, I 33
2θ = 58.6°, 1.576 Å, I 29
2θ = 30.8°, 2.903 Å, I 27
2θ = 58.9°, 1.568 Å, I 24
2θ = 38.2°, 2.357 Å, I 23

Structure:
Unit cell a=5.560 b=5.560 c=10.494 alpha=90.00 beta=90.00 gamma=147.10
Fractional positions:
Er (0.096, 0.904, 0.750)
Er (0.904, 0.096, 0.250)
Ta (0.366, 0.634, 0.549)
Ta (0.366, 0.634, 0.951)
Ta (0.634, 0.366, 0.049)
Ta (0.634, 0.366, 0.451)
B (0.171, 0.829, 0.250)
B (0.829, 0.171, 0.750)
C (0.000, 0.000, 0.000)
C (0.000, 0.000, 0.500)
C (0.265, 0.735, 0.126)
C (0.265, 0.735, 0.374)
C (0.420, 0.580, 0.750)
C (0.580, 0.420, 0.250)
C (0.735, 0.265, 0.626)
C (0.735, 0.265, 0.874)

No. 5
Simulated X-ray diffraction stick pattern of ReSiPt for Cu Ka, from a GGA-PBE-relaxed structure.
=====

Done >
2θ = 14.5°, 6.118 Å, I 14

Structure:
Unit cell a=6.740 b=9.148 c=9.161 alpha=63.18 beta=69.69 gamma=68.48
Fractional positions:
Cu (0.146, 0.330, 0.372)
Cu (0.854, 0.670, 0.628)
S (0.000, 0.500, 0.500)
S (0.006, 0.690, 0.803)
S (0.150, 0.119, 0.133)
S (0.173, 0.052, 0.610)
S (0.298, 0.861, 0.545)
S (0.423, 0.882, 0.866)
S (0.482, 0.310, 0.197)
S (0.518, 0.690, 0.803)
S (0.577, 0.118, 0.134)
S (0.702, 0.139, 0.455)
S (0.827, 0.948, 0.390)
S (0.850, 0.881, 0.867)
S (0.994, 0.310, 0.197)

No. 2
Simulated X-ray diffraction stick pattern of Pr6C2N for Cu Ka, from a GGA-PBE-relaxed structure.
No peak broadening, texture or thermal motion is included.

The 10 most intense peaks (10 to 90 degrees two-theta), most intense first:
2θ = 29.1°, 3.069 Å, I 100
2θ = 33.5°, 2.677 Å, I 80
2θ = 26.8°, 3.325 Å, I 51
2θ = 29.6°, 3.019 Å, I 50
2θ = 32.7°, 2.737 Å, I 39
2θ = 13.3°, 6.649 Å, I 28
2θ = 49.3°, 1.850 Å, I 28
2θ = 45.7°, 1.985 Å, I 23
2θ = 58.0°, 1.590 Å, I 17
2θ = 58.4°, 1.579 Å, I 15

Structure:
Unit cell a=8.866 b=8.866 c=7.784 alpha=108.33 beta=108.33 gamma=24.13
Fractional positions:
Pr (0.009, 0.009, 0.231)
Pr (0.324, 0.324, 0.431)
Pr (0.346, 0.346, 0.904)
Pr (0.654, 0.654, 0.096)
Pr (0.676, 0.676, 0.569)
Pr (0.991, 0.991, 0.769)
C (0.165, 0.165, 0.330)
C (0.835, 0.835, 0.670)
N (0.500, 0.500, 0.000)

No. 3
Simulated X-ray diffraction stick pattern of HoSiSb for Cu Ka, from a GGA-PBE-relaxed structure.
No peak broadening, texture or thermal motion is included.

The 10 most intense peaks (10 to 90 degrees two-theta), most intense first:
2θ = 30.4°, 2.937 Å, I 100
2θ = 34.1°, 2.626 Å, I 37
2θ = 27.4°, 3.258 Å, I 24
2θ = 40.6°, 2.220 Å, I 22
2θ = 54.1°, 1.696 Å, I 21
2θ = 35.0°, 2.563 Å, I 20
2θ = 51.6°, 1.771 Å, I 18
2θ = 21.4°, 4.153 Å, I 15
2θ = 47.1°, 1.931 Å, I 14
2θ = 63.3°, 1.469 Å, I 14

Structure:
Unit cell a=6.783 b=6.783 c=11.744 alpha=90.00 beta=90.00 gamma=120.00
Fractional positions:
Ho (0.000, 0.500, 0.398)
Ho (0.000, 0.500, 0.936)
Ho (0.500, 0.000, 0.269)
Ho (0.500, 0.000, 0.731)
Ho (0.500, 0.500, 0.064)
Ho (0.500, 0.500, 0.602)
Si (0.190, 0.595, 0.167)
Si (0.405, 0.595, 0.833)
Si (0.405, 0.810, 0.500)
Si (0.595, 0.190, 0.500)
Si (0.595, 0.405, 0.833)
Si (0.810, 0.405, 0.167)
Sb (0.000, 0.000, 0.167)
Sb (0.000, 0.000, 0.500)
Sb (0.000, 0.000, 0.833)
Sb (0.000, 0.500, 0.667)
Sb (0.500, 0.000, 0.000)
Sb (0.500, 0.500, 0.333)

No. 4
Simulated X-ray diffraction stick pattern of ErTa2BC4 for Cu Ka, from a GGA-PBE-relaxed structure.
No peak broadening, texture or thermal motion is included.

The 10 most intense peaks (10 to 90 degrees two-theta), most intense first:
2θ = 34.2°, 2.619 Å, I 100
2θ = 30.6°, 2.925 Å, I 97
2θ = 33.6°, 2.666 Å, I 44
2θ = 42.0°, 2.150 Å, I 41
2θ = 39.2°, 2.300 Å, I 35
2θ = 53.1°, 1.724 Å, I 33
2θ = 58.6°, 1.576 Å, I 29
2θ = 30.8°, 2.903 Å, I 27
2θ = 58.9°, 1.568 Å, I 24
2θ = 38.2°, 2.357 Å, I 23

Structure:
Unit cell a=5.560 b=5.560 c=10.494 alpha=90.00 beta=90.00 gamma=147.10
Fractional positions:
Er (0.096, 0.904, 0.750)
Er (0.904, 0.096, 0.250)
Ta (0.366, 0.634, 0.549)
Ta (0.366, 0.634, 0.951)
Ta (0.634, 0.366, 0.049)
Ta (0.634, 0.366, 0.451)
B (0.171, 0.829, 0.250)
B (0.829, 0.171, 0.750)
C (0.000, 0.000, 0.000)
C (0.000, 0.000, 0.500)
C (0.265, 0.735, 0.126)
C (0.265, 0.735, 0.374)
C (0.420, 0.580, 0.750)
C (0.580, 0.420, 0.250)
C (0.735, 0.265, 0.626)
C (0.735, 0.265, 0.874)

No. 5
Simulated X-ray diffraction stick pattern of ReSiPt for Cu Ka, from a GGA-PBE-relaxed structure.